We regret to inform you...

Records of crystals that have nothing to do with the text.
┌──
No. 1
Compound: Ac2Sn3HgPd4
Source: Alexandria via LeMat-Bulk
Functional: PBE-GGA
Structure: relaxed

a = 4.687 Å, b = 4.687 Å, c = 10.937 Å
α = 90.00°, β = 90.00°, γ = 90.00°
Element x y z (fractional)
Ac1 0.000 0.500 0.247
Ac2 0.500 0.000 0.753
Sn1 0.000 0.500 0.878
Sn2 0.500 0.000 0.122
Sn3 0.500 0.500 0.500
Hg1 0.000 0.000 0.500
Pd1 0.000 0.000 0.000
Pd2 0.000 0.500 0.637
Pd3 0.500 0.000 0.363
Pd4 0.500 0.500 0.000

Values from the calculation:
**Space-group type**: No. 115
**Volume**: 24.026 Å³/atom
**Raw total energy**: -4.875 eV/atom
**Energy relative to the elements**: -745 meV per atom


No. 2
Compound: AcSnHg2Pd2
Source: Alexandria via LeMat-Bulk
Functional: PBE-GGA
Structure: relaxed

a = 6.742 Å, b = 6.742 Å, c = 6.742 Å
α = 132.89°, β = 132.89°, γ = 68.83°
Element x y z (fractional)
Ac1 0.000 0.000 0.000
Sn1 0.500 0.500 0.000
Hg1 0.250 0.750 0.500
Hg2 0.750 0.250 0.500
Pd1 0.265 0.265 0.000
Pd2 0.735 0.735 0.000

Values from the calculation:
**Space-group type**: No. 139
**Volume**: 26.924 Å³/atom
**Raw total energy**: -3.470 eV/atom
**Energy relative to the elements**: -286 meV per atom


No. 3
Compound: Ac2Sn3HgPd6
Source: Alexandria via LeMat-Bulk
Functional: PBE-GGA
Structure: relaxed

a = 4.268 Å, b = 4.268 Å, c = 17.118 Å
α = 90.00°, β = 90.00°, γ = 90.00°
Element x y z (fractional)
Ac1 0.000 0.000 0.197
Ac2 0.000 0.000 0.803
Sn1 0.500 0.500 0.000
Sn2 0.500 0.500 0.306
Sn3 0.500 0.500 0.694
Hg1 0.000 0.000 0.500
Pd1 0.000 0.500 0.394
Pd2 0.000 0.500 0.606
Pd3 0.500 0.000 0.394
Pd4 0.500 0.000 0.606
Pd5 0.500 0.500 0.150
Pd6 0.500 0.500 0.850

Values from the calculation:
**Space-group type**: No. 123
**Volume**: 25.990 Å³/atom
**Raw total energy**: -4.735 eV/atom
**Energy relative to the elements**: -428 meV per atom


No. 4
Compound: Ac2SnHgPd6
Source: Alexandria via LeMat-Bulk
Functional: PBE-GGA
Structure: relaxed

a = 6.861 Å, b = 6.861 Å, c = 8.800 Å
α = 128.36°, β = 128.36°, γ = 48.66°
Element x y z (fractional)
Ac1 0.027 0.027 0.283
Ac2 0.973 0.973 0.717
Sn1 0.500 0.500 0.000
Hg1 0.500 0.500 0.500
Pd1 0.005 0.510 0.742
Pd2 0.323 0.323 0.074
Pd3 0.490 0.995 0.258
Pd4 0.510 0.005 0.742
Pd5 0.677 0.677 0.926
Pd6 0.995 0.490 0.258

Values from the calculation:
**Space-group type**: No. 12
**Volume**: 22.769 Å³/atom
**Raw total energy**: -4.997 eV/atom
**Energy relative to the elements**: -629 meV per atom


It is found that the D(E_F) values, taken in the order of the records, are 5.96; 2.15; 8.23; 3.78 states/eV/cell.
It is found that the theoretical density values, taken in the order of the records, are 9.9; 9.9; 8.8; 10.3 Mg/m³.
It is found that the size of the total moment values, taken in the order of the records, are 0.00; 0.00; 0.00; 0.00 μB per formula unit.

~~~~~

#w
Material: HgAuC3
Method: DFT, PBE-GGA
State: optimized geometry

POSCAR file:
```
HgAuC3
1.0
4.243 0.000 0.000
0.000 4.243 0.000
0.000 0.000 4.243
C Au Hg
3 1 1
Cartesian
0.000 2.121 0.000 C
0.000 0.000 2.121 C
2.121 0.000 0.000 C
0.000 0.000 0.000 Au
└──

We regret to inform you...

Our whole entire life we claim to be in the pursuit of happiness but it seems our happiness is defined by acceptance. From birth we seek the approval of others. It's like reassurance that we are doing the right thing. Whether it be our parents, friends, supervisors, or even sometimes our kids. We are slaves to this approval game. Eventually we realize we are too tired to seek the approval of others or we realize we already have the approval of those who matter. Its like the saying goes " Those who care don't matter and those who matter don't care". This saying to me says stop seeking approval and just do you. The system trains us to get that second sign off. We are trained to have only so much confidence. That small percentage of doubt we are programmed with is enough to overpower any amount of confidence we have. Its that small amount of doubt that keeps us in line. That keeps us having more faith in the system than we have in ourselves. We feel like a small individual in the larger population and as long as we stay doubting ourselves we help keep the peace for the greater good. The second someone finds enough confidence to follow through with their ideas, they must be neutralized. These idealists are disruptive to the order of the whole. In my opinion the whole doesn't care about the individual and their desire.

Frank Underwood knows exactly what the greater good is...

Frank Underwood knows exactly what the greater good is...

Let's start as babies, we seek the approval of our parents because they are the first people we meet coming into this world. Parents actions speak loudly to the impressionable infants. We seek there cheers, smiles, and approving pat's on the back. It's borderline pet like. We do tricks for treats. Anything for the pat on the head that says "Good Boy". Not bashing parenting but without the proper discussions about why its a setup for failure.

Eventually we reach grade school age and somehow the stars align and we end up with a solid group of friends. Now as this newfound friendship begins we quickly determine a leader this is the individual that took charge and selected this bunch of misfits to be a team. This is the guy or girl who sets the bar that all others must shoot for. He or she determines what's acceptable and what's not in this specific group. As a follower we seek to rise to this occasion. Right hand man is the next best position to be in. This is our second experience in persuasion and influence. We quickly realize in order to get somewhere in this group we have to fall in line. This small portion of the population serves as our peers. These type of group interactions carry us through grade school. Aside from our friends we need to get the approval of our teachers. Teachers are the gateway to the future without their approval we cannot progress(academically). It's like the manufacturing process without approval on the assembly line we cannot move on to the next step.

Upon leaving grade school the most important thing is being accepted into a college. There are two options, you seek acceptance from one of your dream schools or you attempt to get a job. Either way your once again looking for that acceptance of others. Entering college we once again restart this cycle of finding those who define success and then living up to the standard they provide. Professors are once again the gatekeepers to the land of so called success. Friends serve as the gatekeepers to a successful social life. If you find the balance, college is an easy step. The biggest acceptance scam up to this point in one's life is college. I'm not saying college is stupid it teaches us important theory and concepts that in the event we follow that career path set out for us we should definitely apply these but, the acceptance process is the issue. Many fields have what I call degree Nazis. They discriminate against the no name school degrees. If we hear someone graduated from Harvard or Yale or one of these popular and well funded powerhouses these people are put on pedestals. The college marketing plan is embedded in the DNA of society. College seems like the only route for kids graduating high school. Schools push the college speech cause supposedly academia is the only venture worth anything(Sarcasm people). Before the degree Nazis come the grade Nazis. What does a GPA tell you about a person? That they follow instructions well or maybe they are naturally academically inclined. Sadly it tells you nothing about the actual individual. What about those honor societies? I don't see the correlation between amount of honor societies you are proudly a member of and the amount of major contributions you've made to society as a whole. College has its purpose. College gives us that glimpse of hope. It teaches us to think more freely and allows us to learn more about ourselves. The major problem is its a major money pit. We are so convinced that we need to be at the best schools that we are blind to the fact we are dumping dollars into these overpriced institutions all while burying ourselves in debt. That's a discussion for another day though.Once you graduate again your on the hunt for the new challenge to restart the cycle we've lived thus far.

Get a job you schmuck...

Get a job you schmuck...

The usual route for a graduate is straight to work. We decide building another man's dream is the route we need to take to eventually achieve our own dreams.Somewhere in the work process a lot of us forget our own dreams and we make the ultimate sacrifice. We push aside our vision for another's. We sacrifice our own vision the thing that kept us going all this time, that one glimpse of hope that good fortunes down the road. We settle in because that's what being accepted is. Acceptance is a pillar in our lives. We feed off of it.

The thing we must understand is that old folks don't care, they've lived long enough to realize only one must accept them as they are. That one person we should seek acceptance from is ourselves. Acceptance is based on the person's agenda and personal plan. Acceptance is based on can you serve your purpose in another's master plan. Who knows your agenda better than you? No one!  We got so caught up in stats set by a system that actually has no idea what our personal goals are. The system has no equation for inputting a person's personal desire and getting an output of the exact path in which the individual is to travel to reach such goals. The beauty of life is no one knows what yours will turn out to be. No one can provide you a DIY handbook on how to be the best you possible. We are all beginners in the game called life. It's your ability to sort through the bullshit and make your own plan regardless of who or what institution will have you. Oh you didn't get into Harvard so what! You can still go to another school and achieve your dreams of being a doctor. Your path is yours and yours alone to travel.

The ones who accept you for who you are are the only ones who could possibly have an opinion that matters. Don't fall into the trap of seeking the acceptance or approval of others when the ones you seek acceptance from know nothing of your dreams. You accept yourself and build on that. Do you and nothing else. You know where your headed, the rest of them, speed bumps and potholes on the road to your potential. Until next time keep it LYM.

Every Wolf Was Once A Lone

Every Wolf Was Once A Lone

The Golden Rule

The Golden Rule